## Activity
What is needed: copy the material further down character by character.

## Entries
Entry from the OMol25 dataset: a cluster of 5 separate species, C34H60N4O5S2 in total in a non-equilibrium geometry (ωB97M-V/def2-TZVPD).

XYZ file:
```
105
Properties=species:S:1:pos:R:3:mulliken_charge:R:1
C 5.95853 -2.70444 -1.34330 -1.179
H 4.73507 -3.33462 3.17193 0.265
S -0.51365 4.96658 2.26268 0.181
H -5.29402 3.74751 1.89534 0.198
H 3.17283 -5.04925 -5.39295 0.299
H 3.32764 -4.84346 4.61364 0.293
C 1.45409 1.09080 -0.51384 -0.384
C -9.02758 4.82419 4.57216 -0.325
H -3.65866 -0.45305 1.73276 0.270
H -5.78036 2.60358 0.38684 0.206
H 5.99099 -3.79704 -1.29285 0.386
C -7.14949 5.74241 3.34533 0.252
H 4.00913 -7.99181 -5.31087 0.260
C -4.47497 4.37161 -1.63732 -0.448
H -5.46201 -0.31091 -0.57257 0.314
C -5.06717 3.47619 0.77779 -0.667
C -3.46108 -1.41994 -1.72013 -0.352
H 6.47203 0.40242 -4.56661 0.395
H 2.64022 -0.18553 6.46008 0.409
H 1.56235 0.58965 1.75323 0.158
C 6.87239 -6.42257 -5.66864 -1.084
H -1.08485 -2.40151 -1.54085 0.260
C 3.29619 -7.17252 -5.18101 -1.073
C 3.94504 -5.82486 -5.44636 -0.329
O 4.93558 -5.47426 -4.48359 -0.331
C -1.69816 3.13256 -2.78394 0.264
H 2.46518 -7.33959 -5.87255 0.383
H -7.66052 6.67731 3.09047 0.309
H 4.73324 -2.60556 -3.13199 0.253
C -3.29786 -0.89039 0.70631 -0.113
H -10.69590 6.03733 5.21329 0.384
H 3.64886 0.08500 5.01731 0.298
C -2.02016 -1.86829 -1.07844 -0.347
H -0.15304 1.22932 -3.31411 0.302
C -6.24049 5.92308 4.54825 -1.153
H -6.46756 4.68710 -0.55416 0.275
C 4.33384 -2.98939 4.13139 -0.302
H 5.75214 -7.33486 -4.04899 0.307
H 5.26387 1.00518 -2.52860 0.325
C 5.56550 -0.04046 -2.65662 -0.320
H -4.21332 3.21797 -1.57334 0.208
H -5.11433 4.48811 -2.63653 0.281
S -3.21133 0.35388 -4.99049 -0.140
C -9.92327 6.04386 4.43887 -1.011
H -5.07587 5.78724 0.18795 0.287
H 6.70128 -5.93092 -3.59623 0.299
H -9.35328 6.97157 4.54305 0.260
C 4.72388 -2.24388 -2.09795 -0.230
H -6.53399 5.48003 2.47860 -0.240
H 4.36205 -5.77811 -6.45652 0.319
H -6.79777 6.27626 5.42090 0.339
H -5.45942 6.65798 4.33095 0.397
C -0.19285 3.28480 0.08146 0.344
H 0.75029 -1.57122 -0.54254 0.049
H 5.96357 -2.30180 -0.32556 0.336
H -0.22141 0.70068 1.14007 0.324
C 6.06315 -6.34007 -4.38634 -0.292
C -2.96060 1.96439 -4.45801 0.361
O -8.09454 4.68774 3.50360 -0.380
O 4.53655 -0.83160 -2.06810 -0.307
H 6.14868 -1.31703 -4.31445 0.193
H 1.55124 -1.22096 4.53252 0.216
H 2.44152 1.69687 -0.26822 0.285
C 0.69686 -1.32047 0.61411 -0.051
H 1.65964 0.35018 -1.40232 0.225
H 4.11096 -1.13280 6.20608 0.269
H -3.95582 3.08056 0.70149 0.136
N -2.48987 3.19966 -4.08586 -0.466
C -5.30977 4.73821 -0.27483 -0.359
C -0.47662 2.02333 -2.51224 -0.476
H -10.40526 6.06491 3.45627 0.285
H -0.69285 -2.90333 1.69753 0.262
H -5.76875 4.97464 4.82371 0.295
H 2.92027 -7.22594 -4.15432 0.299
H 2.08225 -2.49876 5.61057 0.332
C -0.74426 -1.78216 1.30341 -0.888
N 0.32669 3.61118 1.46878 -0.520
H 5.08355 -2.31589 4.55664 0.307
H -9.65542 3.92634 4.55182 0.316
C -2.14293 4.25677 -1.62827 0.209
C 3.25597 -0.67531 5.69959 -1.139
H 6.50242 -0.16256 -2.10547 0.302
O 3.13674 -2.27554 3.83414 -0.304
N -1.94607 -1.51359 0.41792 0.296
C 2.44182 -1.70913 4.94174 -0.218
H -8.50818 4.81756 5.53479 0.291
C -4.37633 -0.75488 -0.52511 -0.668
H 3.84037 -2.68415 -1.62417 0.278
H 4.80970 -0.22777 -4.67559 0.285
N -1.64414 5.37360 0.96369 -0.543
H -0.84225 -1.12062 2.29176 0.322
H 7.14058 -5.42232 -6.02293 0.293
H 6.87606 -2.36542 -1.83323 0.284
C 0.24812 2.13121 -1.00935 0.289
C 0.85783 0.32777 0.83881 -0.399
H 5.03281 -4.77620 5.12376 0.392
C -1.38517 4.38802 -0.16108 0.379
H 7.78823 -6.99916 -5.50695 0.394
C 4.10982 -4.19739 5.02479 -1.080
O -3.26815 5.22344 -1.85583 -0.443
H -3.72349 -1.58363 -2.84976 0.374
H 1.53712 -1.93367 1.16185 0.192
C 5.76024 -0.30971 -4.13891 -1.014
H 3.79303 -3.89903 6.02829 0.266
H 6.30683 -6.91127 -6.46747 0.258
```

* LUMO level: -1.47 eV
* energy above the lowest of the compared OMol25 structures with the same formula, charge and spin: 221.35 kcal/mol
* frontier orbital gap: 6.1 eV
* total charge: 0
* 2S+1: 1

## Solution
Entry from the OMol25 dataset: a cluster of 5 separate species, C34H60N4O5S2 in total in a non-equilibrium geometry (ωB97M-V/def2-TZVPD).

XYZ file:
```
105
Properties=species:S:1:pos:R:3:mulliken_charge:R:1
C 5.95853 -2.70444 -1.34330 -1.179
H 4.73507 -3.33462 3.17193 0.265
S -0.51365 4.96658 2.26268 0.181
H -5.29402 3.74751 1.89534 0.198
H 3.17283 -5.04925 -5.39295 0.299
H 3.32764 -4.84346 4.61364 0.293
C 1.45409 1.09080 -0.51384 -0.384
C -9.02758 4.82419 4.57216 -0.325
H -3.65866 -0.45305 1.73276 0.270
H -5.78036 2.60358 0.38684 0.206
H 5.99099 -3.79704 -1.29285 0.386
C -7.14949 5.74241 3.34533 0.252
H 4.00913 -7.99181 -5.31087 0.260
C -4.47497 4.37161 -1.63732 -0.448
H -5.46201 -0.31091 -0.57257 0.314
C -5.06717 3.47619 0.77779 -0.667
C -3.46108 -1.41994 -1.72013 -0.352
H 6.47203 0.40242 -4.56661 0.395
H 2.64022 -0.18553 6.46008 0.409
H 1.56235 0.58965 1.75323 0.158
C 6.87239 -6.42257 -5.66864 -1.084
H -1.08485 -2.40151 -1.54085 0.260
C 3.29619 -7.17252 -5.18101 -1.073
C 3.94504 -5.82486 -5.44636 -0.329
O 4.93558 -5.47426 -4.48359 -0.331
C -1.69816 3.13256 -2.78394 0.264
H 2.46518 -7.33959 -5.87255 0.383
H -7.66052 6.67731 3.09047 0.309
H 4.73324 -2.60556 -3.13199 0.253
C -3.29786 -0.89039 0.70631 -0.113
H -10.69590 6.03733 5.21329 0.384
H 3.64886 0.08500 5.01731 0.298
C -2.02016 -1.86829 -1.07844 -0.347
H -0.15304 1.22932 -3.31411 0.302
C -6.24049 5.92308 4.54825 -1.153
H -6.46756 4.68710 -0.55416 0.275
C 4.33384 -2.98939 4.13139 -0.302
H 5.75214 -7.33486 -4.04899 0.307
H 5.26387 1.00518 -2.52860 0.325
C 5.56550 -0.04046 -2.65662 -0.320
H -4.21332 3.21797 -1.57334 0.208
H -5.11433 4.48811 -2.63653 0.281
S -3.21133 0.35388 -4.99049 -0.140
C -9.92327 6.04386 4.43887 -1.011
H -5.07587 5.78724 0.18795 0.287
H 6.70128 -5.93092 -3.59623 0.299
H -9.35328 6.97157 4.54305 0.260
C 4.72388 -2.24388 -2.09795 -0.230
H -6.53399 5.48003 2.47860 -0.240
H 4.36205 -5.77811 -6.45652 0.319
H -6.79777 6.27626 5.42090 0.339
H -5.45942 6.65798 4.33095 0.397
C -0.19285 3.28480 0.08146 0.344
H 0.75029 -1.57122 -0.54254 0.049
H 5.96357 -2.30180 -0.32556 0.336
H -0.22141 0.70068 1.14007 0.324
C 6.06315 -6.34007 -4.38634 -0.292
C -2.96060 1.96439 -4.45801 0.361
O -8.09454 4.68774 3.50360 -0.380
O 4.53655 -0.83160 -2.06810 -0.307
H 6.14868 -1.31703 -4.31445 0.193
H 1.55124 -1.22096 4.53252 0.216
H 2.44152 1.69687 -0.26822 0.285
C 0.69686 -1.32047 0.61411 -0.051
H 1.65964 0.35018 -1.40232 0.225
H 4.11096 -1.13280 6.20608 0.269
H -3.95582 3.08056 0.70149 0.136
N -2.48987 3.19966 -4.08586 -0.466
C -5.30977 4.73821 -0.27483 -0.359
C -0.47662 2.02333 -2.51224 -0.476
H -10.40526 6.06491 3.45627 0.285
H -0.69285 -2.90333 1.69753 0.262
H -5.76875 4.97464 4.82371 0.295
H 2.92027 -7.22594 -4.15432 0.299
H 2.08225 -2.49876 5.61057 0.332
C -0.74426 -1.78216 1.30341 -0.888
N 0.32669 3.61118 1.46878 -0.520
H 5.08355 -2.31589 4.55664 0.307
H -9.65542 3.92634 4.55182 0.316
C -2.14293 4.25677 -1.62827 0.209
C 3.25597 -0.67531 5.69959 -1.139
H 6.50242 -0.16256 -2.10547 0.302
O 3.13674 -2.27554 3.83414 -0.304
N -1.94607 -1.51359 0.41792 0.296
C 2.44182 -1.70913 4.94174 -0.218
H -8.50818 4.81756 5.53479 0.291
C -4.37633 -0.75488 -0.52511 -0.668
H 3.84037 -2.68415 -1.62417 0.278
H 4.80970 -0.22777 -4.67559 0.285
N -1.64414 5.37360 0.96369 -0.543
H -0.84225 -1.12062 2.29176 0.322
H 7.14058 -5.42232 -6.02293 0.293
H 6.87606 -2.36542 -1.83323 0.284
C 0.24812 2.13121 -1.00935 0.289
C 0.85783 0.32777 0.83881 -0.399
H 5.03281 -4.77620 5.12376 0.392
C -1.38517 4.38802 -0.16108 0.379
H 7.78823 -6.99916 -5.50695 0.394
C 4.10982 -4.19739 5.02479 -1.080
O -3.26815 5.22344 -1.85583 -0.443
H -3.72349 -1.58363 -2.84976 0.374
H 1.53712 -1.93367 1.16185 0.192
C 5.76024 -0.30971 -4.13891 -1.014
H 3.79303 -3.89903 6.02829 0.266
H 6.30683 -6.91127 -6.46747 0.258
```

* LUMO level: -1.47 eV
* energy above the lowest of the compared OMol25 structures with the same formula, charge and spin: 221.35 kcal/mol
* frontier orbital gap: 6.1 eV
* total charge: 0
* 2S+1: 1